
Nick Peron

Welcome to the website of comedian Nick Peron. It is the ground zero of his comedic writing.

Thor #354

Thor #354

Pickin’ Up the Pieces


The war against Surtur has come to an end when Odin seemingly sacrificed his life to stop the fire demon from destroying all life in the universe.[1] Unwilling to accept that his father is gone, Thor begins hamming at the ground where Odin and Surtur were swallowed up. Loki stops his brother, convincing him to let it go since by freeing Odin he would also free Surtur, thus putting them all at risk again.[2] Thor thanks his step-brother for making him see sense but knows that the trickster god will begin scheming anew and warns Loki that he’ll be watching.

The Sahara Desert

With the apparent destruction of Surtur, the battle in the Sahara comes to an abrupt end. Without the power of their master to sustain them and cut off from their home dimension, the demonic hordes suddenly burn out. As Beta Ray Bill declares victory, the Warriors Three are happy to see Balder had succeeded in convincing Karnilla to join their fight. Balder tells them that he won’t be returning with them and he and Karnilla teleport away. With the battle over, Bill wants to return to New York City to search for Sif, who went missing in action earlier in the battle.

Flying back to America, Bill and the Warriors Three find Sif being treated for injuries by some field medics. Quickly, Hogun feeds Sif a healing elixir that allows the goddess to recover instantaneously from her injuries.


Thor searches the ruins of Asgard and finds Heimdall who is injured but otherwise okay. The thunder god tells him the tragic news, that Odin seemingly perished in battle. This is overheard by a pair of wandering Storm-Giants. Suddenly, Hela appears before Thor and Heimdall to claim the soul of Odin. Thor refuses to allow her to claim his father’s soul and vows to fight her as well as rescue the souls of mortals that are prisoners in her domain.[3] Thor fights with a fury that Hela has never seen before and decides that it would be wiser to depart.

Thor then goes to the ruined Bifrost Bridge to mourn the loss of his father.[4] His vigil is interrupted by the arrival of Sif who found it difficult to teleport back to Asgard since their home has been unmoored from Midgard. He quickly informs Sif of what went down in Asgard and she gives him her condolences. Thor asks Sif and Beta Ray Bill remain on Earth for a time to defend it while he grieves his father’s passing, but also to keep the army of Asgard contained as it will not be easy for them to return home now that the Bifrost is gone. They both agree to keep Odin’s demise a secret for now, at least, so as not to ruin morale. Before Sif heads back to Earth, Thor asks her to carry out one last favor for him.

Meanwhile, Frigga and the children of Asgard have finally reached the mountain chalet they have been trying to reach for safety. After the long trip, Frigga turns down the request for a story as she can sense that her husband has died and needs to mourn. The children pick up on this and provide comfort to the new widow, reminding her that Odin sent the children to keep an eye on her as much as she was to care for them.

New York

The warriors of Asgard have been allowed to set up camp in Central Park while they await the time to return home. When Sif returns she checks in with Beta Ray Bill before telling the gathered warriors that their return home will be delayed due to the Bifrost’s destruction.[5] Welcomed by the mayor of New York to stay as long as they need, Sif and Bill decide to pass some time by exploring the city. To stand out a little less than normal, Bill taps Stormbreaker on the ground, triggering the enchantment that reverts him back to his original, more humanid, form.

Elsewhere in the city a group of armored soldiers communicate with their master through a video link. He tells them that the time has come to strike.

## Records of molecules from another source follow
********
Molecular formula: C4H7NO
Method: DFT, the ωB97M-V functional and the def2-TZVPD basis

Calculated values
* SMILES: C[C@H]1CN1C=O
* max |F|: 0.009 Eh/bohr
* LUMO energy: 1.02 eV
* highest occupied orbital energy: -9.871 eV
* energy: -286.56806 Ha
* charge: 0
* multiplicity: 1

Each line ends with the Löwdin charge.
Atoms and positions in Å:
C (0.461, -0.856, -1.109)  -0.05
C (0.892, -0.057, 0.105)  -0.28
C (0.359, 1.329, 0.246)  -0.09
N (-0.085, 0.288, 1.136)  -0.03
C (-1.383, -0.205, 1.068)  -0.33
O (-2.339, 0.388, 0.628)  0.05
H (0.584, -1.934, -0.963)  0.08
H (1.063, -0.558, -1.974)  0.08
H (-0.590, -0.653, -1.350)  0.08
H (1.874, -0.294, 0.513)  0.13
H (0.960, 2.108, 0.709)  0.11
H (-0.349, 1.661, -0.513)  0.12
H (-1.448, -1.218, 1.506)  0.14

Molecular formula: C13H32GaNO5P
Method: DFT, the ωB97M-V functional and the def2-TZVPD basis

Calculated values
* max |F|: 0.047 Eh/bohr
* LUMO energy: 2.21 eV
* highest occupied orbital energy: -3.729 eV
* energy: -3211.43783 Ha
* charge: -1
* multiplicity: 1

Each line ends with the Löwdin charge.
Atoms and positions in Å:
C (2.825, 2.874, -2.981)  0.07
C (2.356, 1.830, -2.551)  -0.14
C (1.953, 0.398, -2.097)  -0.21
C (0.683, -0.211, -2.845)  -0.29
C (-0.299, 0.858, -3.485)  -0.33
Ga (-1.484, 1.879, -2.145)  0.25
C (-0.860, 1.785, -0.182)  -0.31
C (-1.773, 0.834, 0.749)  -0.25
C (-0.913, 0.373, 2.016)  -0.19
O (-1.205, -0.999, 2.428)  -0.04
C (-0.356, -1.401, 3.461)  -0.48
C (-0.384, -2.943, 3.866)  0.01
O (0.382, -0.649, 4.080)  0.05
P (-3.753, 1.224, -2.331)  0.47
N (-4.313, 1.827, -3.731)  -0.47
H (3.349, 3.857, -3.086)  0.05
H (2.826, -0.300, -2.324)  0.11
H (1.850, 0.362, -0.965)  0.09
H (1.090, -0.865, -3.689)  0.09
H (0.157, -0.914, -2.121)  0.10
H (0.206, 1.604, -4.167)  0.04
H (-1.015, 0.268, -4.155)  0.05
H (-1.422, 3.440, -2.582)  -0.07
H (-0.973, 2.832, 0.247)  0.04
H (0.219, 1.486, -0.031)  0.02
H (-2.196, -0.045, 0.172)  0.09
H (-2.595, 1.494, 1.154)  0.10
H (0.201, 0.474, 1.840)  0.12
H (-1.170, 1.092, 2.857)  0.13
H (-1.083, -3.000, 4.760)  0.09
H (-0.714, -3.606, 3.016)  0.09
H (0.651, -3.223, 4.228)  0.07
H (-3.927, -0.212, -2.412)  -0.08
H (-4.564, 1.736, -1.241)  -0.07
H (-5.099, 2.457, -3.540)  -0.10
C (3.647, -4.083, 3.468)  -0.16
O (2.436, -4.238, 2.740)  -0.14
H (3.537, -4.570, 4.436)  0.08
H (4.471, -4.550, 2.921)  0.07
H (3.855, -3.021, 3.619)  0.08
H (2.558, -3.801, 1.889)  0.08
C (3.549, 1.373, -6.362)  -0.17
O (3.134, 0.408, -5.411)  -0.14
H (3.727, 0.873, -7.314)  0.07
H (2.767, 2.126, -6.491)  0.08
H (4.474, 1.851, -6.027)  0.07
H (2.983, 0.877, -4.578)  0.02
C (-3.633, 0.146, 5.714)  -0.16
O (-2.677, -0.437, 6.587)  -0.13
H (-4.598, 0.182, 6.219)  0.07
H (-3.322, 1.162, 5.455)  0.08
H (-3.722, -0.460, 4.808)  0.08
H (-1.835, -0.455, 6.114)  0.06

Molecular formula: H16O8
Method: DFT, the ωB97M-V functional and the def2-TZVPD basis

Calculated values
* SMILES: O.O.O.O.O.O.O.O
* max |F|: 0.010 Eh/bohr
* LUMO energy: -0.24 eV
* highest occupied orbital energy: -10.747 eV
********

While in a penthouse overlooking the park, Lorelei is furious that her people will be lingering a while longer in the aftermath of the battle. She is visited by Loki, whom she complains to about how boring life on Midgard is and how borish her step-brother can be. She can’t understand how Thor isn’t completely under his spell and wants to give up on this plan.[6] However, Loki insists that her seduction of Thor must continue because he has aspirations to take over the throne of Asgard and needs to get his brother out of the way.


Thor leaves the city in the care of Heimdall and then rides up into the mountains to reflect on his father’s passing. He eventually comes upon footprints where there should be none and is curious enough to stop. Hela has been observing Thor from afar and takes this opportunity to strike by casting a spell that creates an avalanche. Thor quickly tries to ride his horse to safety but Hela causes the horse to rapidly age and decompose leaving Thor to be buried under the onrushing snow and ice.

Recurring Characters

Thor, Hela, Loki, Lorelei Karnilla, Balder, Beta Ray Bill, Warriors Three (Fandral, Hogun, Volstagg), Sif, Heimdall, Frigga, Hrolf, Gunnar, Gunnhild, Angrim, Green Liberation Front, Titanium Man

Continuity Notes

  1. Odin is not really dead. He is revealed to have been captured by Seth, the Egyptian god of death, in Thor #398-400.

  2. Loki states here that Odin sacrificed himself much like his brothers did centuries earlier. Vili and Ve died sealing Muspelheim off from the rest of Asgard as seen in Thor #349.

**Molecular data, kept here for reference**
┌──
(1)
Here is a 2-piece molecular cluster, C2H7N overall from the OMol25 dataset. Energies are from ωB97M-V/def2-TZVPD.

XYZ file:
```
10
Properties=species:S:1:pos:R:3:mulliken_charge:R:1
C -1.196 -1.240 -1.276 -0.657
N -0.193 -0.484 -0.569 -0.590
C 1.178 1.407 1.523 -0.828
H -0.850 -1.900 -2.096 0.132
H -1.966 -1.707 -0.632 0.104
H -0.889 0.286 -0.632 0.046
H 1.704 1.834 0.670 0.194
H 1.055 2.136 2.322 0.277
H 1.705 0.521 1.864 0.186
H 0.201 1.122 1.148 0.137
```

Output
total charge	-1
E_LUMO (spin up / spin down)	4.50 / 4.48	eV
HOMO energy (spin up / spin down)	-0.520 / -1.400	eV
orbital gap (spin up / spin down)	5.0 / 5.9	eV
max |F|	3.12	eV/A
multiplicity	2
ΔE to the lowest compared entry with this formula, charge and spin	1.046	eV

***

(2)
Here is a 2-piece molecular cluster, C2H7N overall from the OMol25 dataset. Energies are from ωB97M-V/def2-TZVPD.

XYZ file:
```
10
Properties=species:S:1:pos:R:3:mulliken_charge:R:1
C 1.494 -1.403 1.555 -0.827
H 0.931 -2.371 1.617 0.223
H 0.740 -0.569 1.974 0.168
H 2.466 -1.444 2.207 0.215
H 1.668 -1.208 0.516 0.219
C -1.199 1.476 -1.396 -0.090
N -1.939 0.822 -2.177 -0.458
H -0.691 0.760 -0.599 0.042
H -0.914 2.405 -1.027 0.279
H -2.557 1.532 -2.669 0.228
```

Output
E_LUMO	1.00	eV
SMILES string	C=N.C
HOMO energy	-10.192	eV
orbital gap	11.2	eV
max |F|	6.36	eV/A
ΔE to the lowest compared entry with this formula, charge and spin	1.883	eV

***

(3)
Here is an isolated ion of composition C2H7N and charge +1 from the OMol25 dataset. Energies are from ωB97M-V/def2-TZVPD.

XYZ file:
```
10
Properties=species:S:1:pos:R:3:mulliken_charge:R:1
C 1.076 -0.006 0.088 -1.296
C -0.324 0.388 -0.419 -0.060
N -1.349 -0.137 0.460 -0.066
H 1.190 -1.094 0.052 0.422
H 1.821 0.376 -0.560 0.375
H 1.331 0.296 1.184 0.375
H -0.281 1.496 -0.185 0.292
H -0.326 0.001 -1.447 0.323
H -2.172 -0.468 -0.064 0.360
H -0.966 -0.852 0.892 0.275
```

Output
total charge	+1
E_LUMO (spin up / spin down)	-3.71 / -9.75	eV
HOMO energy (spin up / spin down)	-17.770 / -17.917	eV
orbital gap (spin up / spin down)	14.1 / 8.2	eV
max |F|	6.79	eV/A
multiplicity	2
ΔE to the lowest compared entry with this formula, charge and spin	1.089	eV

=====

<one>
Molecular formula: C4H10NS2
Method: DFT, ωB97M-V with the def2-TZVPD basis set

The geometry in ORCA input format:
```
! RIJCOSX wB97M-V def2-TZVPD def2/J DEFGRID3
* xyz 1 1
S 2.62678 -0.85209 0.27014
S 1.15633 1.93971 0.21330
N -0.24724 -0.37338 0.34235
C 1.75925 -0.28050 -1.24865
C -0.65742 -0.00575 1.67750
C -1.23407 -0.05487 -0.73854
C 1.12620 0.15095 0.01236
H -0.09019 -1.43638 0.42148
H 2.16788 0.41942 -1.83849
H 1.53669 1.80472 1.53954
H -1.07828 1.03630 -0.54016
H 0.22757 0.19885 2.22735
H -2.20252 -0.35847 -0.56881
H 1.41466 -1.08140 -1.93808
H -1.33036 0.92956 1.61262
H -1.30825 -0.89066 2.05804
H -1.07384 -0.48468 -1.76053
*
```

Computed properties:
HOMO energy = -13.6 eV
lowest unoccupied orbital energy = -3.36 eV
SMILES = C[NH+](C)[C@]1(S)CS1
frontier orbital gap = 0.3758 hartree

---

<two>
└──

  3. He is referring to the humans whose bodies were taken over by Dark Elves between Thor #343-348. Thor will make good on this promise in Thor #360-362.

  4. Surtur shattered the Bifrost in Thor #351. It will eventually get repaired in Thor #426.

  5. Here, Beta Ray Bill states that, while Sif was gone, he helped the Avengers fend off an invasion from the Dire Wraiths. This happened in Rom #65.

  6. Lorelei has been on Earth trying to seduce Thor since issue #340. She attempted to bend his will with a specially made golden mead in Thor #346. However, this scheme was foiled when Roger Willis replaced the mead with a mixture of honey and water in issue #349.

Topical References

  • The mayor of New York City is identified as Ed Koch in this story. This should be considered topical as Koch was only mayor from 1978 to 1989 and subsequently died in 2013.

Tales of Midgard: Home of the Amazing Human Race

In Chicago, Shawna Lynde, Brenda Barclay, and Nurse Stevens have all met up at the office of Doctor Donald Blake. They have been unsuccessful finding Don who has been missing for months and with his medical practice running out of money, they are going to be forced to shut it down. The women can only speculate what happened to Don, who was last seen being ushered into a car by a pair of SHIELD agents. This gives Shawna hope that Don is still out there somewhere and believes that the reason why he hasn’t been in touch is because he is on some kind of secret mission for the spy agency.[1]

Their conversation is interrupted by the arrival of Fandral, who is on business from Thor to wrap up loose ends from his former life. He tells the three women that Don Blake is “on a mission for his government” and tells them that he won’t be coming back. He then pays them in gold coins and gives them gold bracelets with small Mjolnir pendants as gifts to remember him by. However, these charms actually make them forget all about Don Blake so that they can move on with their lives. With this task out of the way, Fandral decides to take the name plate off Don Blake’s office door, figuring Thor might want it as a memento of his old life.

Recurring Characters

Fandral, Shawna Lynde, Brenda Barclay, Nurse Stevens

Continuity Notes

  1. Thor, in his mortal identity of Don Blake, had been living in Chicago between Thor #319 through 337. Indeed, he was abducted by SHIELD agents to investigate the approach of Beta Ray Bill’s space convoy. Later, Thor would give up his Don Blake identity when the enchantment that allowed him to change forms was transferred to Bill’s hammer, Stormbreaker, in Thor #339.

Thor #353

Thor #353

Thor Annual #13

Thor Annual #13